With the presidential primaries in full swing, Democrats have proposed bold policies, including Medicare for All, free college and student-loan forgiveness, and Universal Basic Income (UBI).
The Green New Deal, an expansive resolution focused on climate change and a total revamp of the economy, is also in play. But at the heart of these proposals is economic development and diminished carbon emissions. The goal: for Democrats to harness the unique position of cities to help achieve these policy goals.
Cities and the Economy
Cities are economic powerhouses that have always been the backbone of robust economies. Today, U.S. metro areas account for the vast majority of GDP.
-- Misplaced records of crystals --
-- begin --
This entry pairs a crystal structure of Y2CI2 with its theoretical X-ray powder pattern. Radiation: a wavelength of 1.5418 Å. Structure: a DFT-relaxed cell (GGA-PBE, the Materials Project).
Intensities are scaled so that the largest is 100.

abc: 3.8785 3.8785 11.1383
angles: 90.00 90.00 120.00
Space group P-3m1 (No. 164)
Asymmetric unit:
Y (0.3333, 0.6667, 0.1182) [2 per cell]
C (0.0000, 0.0000, 0.0000) [1 per cell]
I (0.3333, 0.6667, 0.6870) [2 per cell]

Top 10 peaks for 2θ from 10° to 90°, in order of falling intensity:
2θ = 31.09°, 2.876 Å, rel. 100
2θ = 26.54°, 3.359 Å, rel. 30
2θ = 46.85°, 1.939 Å, rel. 29
2θ = 36.06°, 2.491 Å, rel. 28
2θ = 42.15°, 2.144 Å, rel. 19
2θ = 64.84°, 1.438 Å, rel. 19
2θ = 15.91°, 5.569 Å, rel. 18
2θ = 57.30°, 1.608 Å, rel. 17
2θ = 63.61°, 1.463 Å, rel. 16
2θ = 77.05°, 1.238 Å, rel. 15

=====

This entry pairs a crystal structure of U2MnN3 with its theoretical X-ray powder pattern. Radiation: a wavelength of 1.5418 Å. Structure: a DFT-relaxed cell (GGA-PBE, the Materials Project).
Intensities are scaled so that the largest is 100.

abc: 3.312 3.751 12.112
angles: 90.00 90.00 90.00
Space group Immm (No. 71)
Asymmetric unit:
U (0.000, 0.000, 0.144) [4 per cell]
Mn (0.000, 0.000, 0.500) [2 per cell]
N (0.000, 0.000, 0.332) [4 per cell]
N (0.000, 0.500, 0.500) [2 per cell]

Top 10 peaks for 2θ from 10° to 90°, in order of falling intensity:
2θ = 36.18°, 2.483 Å, rel. 100
2θ = 32.58°, 2.748 Å, rel. 88
2θ = 35.05°, 2.560 Å, rel. 83
2θ = 47.35°, 1.920 Å, rel. 48
2θ = 24.85°, 3.583 Å, rel. 47
2θ = 61.26°, 1.513 Å, rel. 38
2θ = 29.50°, 3.028 Å, rel. 37
2θ = 27.93°, 3.194 Å, rel. 27
2θ = 65.85°, 1.418 Å, rel. 26
2θ = 58.97°, 1.566 Å, rel. 24

=====

This entry pairs a crystal structure of PrYMg2 with its theoretical X-ray powder pattern. Radiation: a wavelength of 1.5418 Å. Structure: a DFT-relaxed cell (GGA-PBE, the Materials Project).
Intensities are scaled so that the largest is 100.

abc: 3.845 3.845 7.749
angles: 90.00 90.00 90.00
Space group P4/mmm (No. 123)
Asymmetric unit:
Pr (0.000, 0.000, 0.000) [1 per cell]
Y (0.000, 0.000, 0.500) [1 per cell]
Mg (0.500, 0.500, 0.256) [2 per cell]

Top 10 peaks for 2θ from 10° to 90°, in order of falling intensity:
2θ = 32.81°, 2.729 Å, rel. 100
2θ = 32.94°, 2.719 Å, rel. 50
2θ = 23.13°, 3.845 Å, rel. 49
2θ = 58.75°, 1.572 Å, rel. 37
2θ = 22.95°, 3.875 Å, rel. 25
2θ = 40.53°, 2.226 Å, rel. 23
2θ = 53.23°, 1.721 Å, rel. 20
2θ = 58.50°, 1.578 Å, rel. 18
2θ = 47.28°, 1.923 Å, rel. 18
2θ = 78.66°, 1.216 Å, rel. 15

=====

This entry pairs a crystal structure of ThInCu5 with its theoretical X-ray powder pattern. Radiation: a wavelength of 1.5418 Å. Structure: a DFT-relaxed cell (GGA-PBE, the Materials Project).
Intensities are scaled so that the largest is 100.

abc: 8.342 5.089 10.642
angles: 90.00 90.00 90.00
Space group Pnma (No. 62)
Asymmetric unit:
Th (0.247, 0.250, 0.060) [4 per cell]
In (0.139, 0.750, 0.862) [4 per cell]
Cu (0.060, 0.750, 0.106) [4 per cell]
-- stop --
-- The page goes on --
In her pioneering survey of urban economics, “The Economy of Cities,” urban-studies activist Jane Jacobs described the processes by which economic growth is wholly dependent on cities. This was a radical assertion for its time, as many had thought that growth depended on farms and the surplus they created. Yet Jacobs demonstrated the reverse, that the close agglomerations of people cities provided encouraged the innovation necessary to improve the farming that delivered vital surpluses.

____________
[1]
# PrAl11Cr
Theoretical powder diffraction line list, λ = 1.5418 Å (Cu Kα). Input: a cell relaxed with GGA-PBE.

a b c (Å): 6.8914 6.8914 7.1710
angles (deg): 97.79 97.79 135.21
Sites, in units of the cell vectors:
1 Pr 0.0000 0.0000 0.0000
2 Al 0.0000 0.0000 0.5000
3 Al 0.0000 0.5000 0.0000
4 Al 0.0281 0.3727 0.3635
5 Al 0.2833 0.5003 0.7718
6 Al 0.3727 0.0281 0.3635
7 Al 0.5000 0.0000 0.0000
8 Al 0.5003 0.2833 0.7718
9 Al 0.4997 0.7167 0.2282
10 Al 0.6273 0.9719 0.6365
11 Al 0.7167 0.4997 0.2282
12 Al 0.9719 0.6273 0.6365
13 Cr 0.5000 0.5000 0.5000

Top 12 peaks for 10° ≤ 2θ ≤ 90°, most intense first:
| two_theta | d (Å) | I (rel.) |
| --- | --- | --- |
| 39.01 | 2.309 | 1000 |
| 39.90 | 2.260 | 831 |
| 39.35 | 2.290 | 747 |
| 19.51 | 4.550 | 724 |
| 13.90 | 6.372 | 719 |
| 27.83 | 3.205 | 636 |
| 39.62 | 2.275 | 628 |
| 33.64 | 2.665 | 624 |
| 38.53 | 2.337 | 578 |
| 26.98 | 3.304 | 517 |
| 38.19 | 2.357 | 422 |
| 33.87 | 2.647 | 385 |

---

[2]
# InAg2Au3
Theoretical powder diffraction line list, λ = 1.5418 Å (Cu Kα). Input: a cell relaxed with GGA-PBE.

a b c (Å): 4.8038 9.3864 4.9564
angles (deg): 90.00 90.00 90.00
Sites, in units of the cell vectors:
1 In 0.2500 0.2500 0.0687
2 In 0.7500 0.7500 0.9313
3 Ag 0.2500 0.5833 0.0716
4 Ag 0.2500 0.9167 0.0716
5 Ag 0.7500 0.0833 0.9284
6 Ag 0.7500 0.4167 0.9284
7 Au 0.2500 0.0816 0.5724
8 Au 0.2500 0.4184 0.5724
9 Au 0.2500 0.7500 0.5705
10 Au 0.7500 0.2500 0.4295
11 Au 0.7500 0.5816 0.4276
12 Au 0.7500 0.9184 0.4276

Top 12 peaks for 10° ≤ 2θ ≤ 90°, most intense first:
| two_theta | d (Å) | I (rel.) |
| --- | --- | --- |
| 38.86 | 2.317 | 1000 |
| 37.44 | 2.402 | 341 |
| 40.98 | 2.202 | 324 |
| 68.49 | 1.370 | 187 |
| 33.88 | 2.646 | 168 |
| 76.29 | 1.248 | 162 |
| 36.25 | 2.478 | 145 |
| 63.70 | 1.461 | 135 |
| 17.90 | 4.956 | 112 |
| 74.38 | 1.275 | 111 |
| 79.93 | 1.200 | 110 |
| 59.06 | 1.564 | 104 |

---

[3]
# Tb4Pr2Er
Theoretical powder diffraction line list, λ = 1.5418 Å (Cu Kα). Input: a cell relaxed with GGA-PBE.

a b c (Å): 11.4490 11.4490 7.2854
angles (deg): 90.00 90.00 90.00
Sites, in units of the cell vectors:
1 Tb 0.0328 0.7500 0.0014
2 Tb 0.0329 0.7500 0.4979
3 Tb 0.2500 0.5329 0.0021
4 Tb 0.2500 0.5328 0.4986
5 Tb 0.2500 0.9671 0.0021
6 Tb 0.2500 0.9672 0.4986
7 Tb 0.4672 0.7500 0.0014
8 Tb 0.4671 0.7500 0.4979
9 Tb 0.5329 0.2500 0.5021
10 Tb 0.5328 0.2500 0.9986
11 Tb 0.7500 0.0328 0.5014
12 Tb 0.7500 0.0329 0.9979
13 Tb 0.7500 0.4672 0.5014
14 Tb 0.7500 0.4671 0.9979
15 Tb 0.9671 0.2500 0.5021
16 Tb 0.9672 0.2500 0.9986
17 Pr 0.0015 0.5015 0.7500
18 Pr 0.0015 0.9985 0.7500
19 Pr 0.4985 0.5015 0.7500
20 Pr 0.4985 0.9985 0.7500
21 Pr 0.5015 0.0015 0.2500
22 Pr 0.5015 0.4985 0.2500
23 Pr 0.9985 0.0015 0.2500
24 Pr 0.9985 0.4985 0.2500
25 Er 0.2500 0.2500 0.2506
26 Er 0.2500 0.2500 0.7506
27 Er 0.7500 0.7500 0.2494
28 Er 0.7500 0.7500 0.7494

Top 12 peaks for 10° ≤ 2θ ≤ 90°, most intense first:
| two_theta | d (Å) | I (rel.) |
| --- | --- | --- |
| 33.08 | 2.708 | 1000 |
____________
She highlighted cities like 1950s Tokyo which, with its lack of a vertically-integrated automotive industry in cities like Detroit, featured an inefficient and chaotic bicycle industry that created new work via breakaway industries that fostered an economic boom.
Conversely, Detroit, with its efficient, vertically-integrated firms, was on the road to stagnation because a slew of efficient, vertically-integrated companies stifled the innovation necessary to the creation of new work. Thinkers like Ed Glaser have expanded upon Jacobs’s thinking, and have even gone further in calling for the end of policies that encourage suburbanization, which they argue are inefficient both economically and environmentally.
Cities and the Environment
Some cities are already taking bold steps to address climate change, but this may not be enough. Due to the potential of oil becoming prohibitively expensive and the need to reduce carbon emissions, suburbs may no longer be a feasible means of existence. The density of compact cities allows people to use less space and drive less, all of which can be boons to the environment.
In fact, Glaser asserts that skyscrapers and the density they provide may be key to combating the worst effects of climate change, especially in California—the reason being that California’s restrictions on building in urban areas and the attendant rise in prices encourage the building of cheaper housing in suburbs, thus furthering adverse carbon impacts.
Options For A Green Economy
Two promising means the federal government has of aiding cities both economically and environmentally are housing policies and transit-oriented-development assistance. There is an interplay between housing and economic development, and while housing is mostly dealt with by local government, there is room for the federal government to take a greater look at its tax-credit programs and consider expanding them, as well as programs such as Section 8. Moreover, current federal policies favor homeowners over renters, which is a problem that can be remedied, though homeowners would not be too happy about it.
The federal government can also aid cities in transit-oriented development, which centers development around efficient means of transportation. For example, a few years ago south Los Angeles was designated a promise zone by HUD, and it is currently using this status in part to promote TOD, using the transportation seams TOD offers to connect less advantaged residents to the rest of the city so they can participate more fully in the process of economic growth.
But progressives are not waiting on the federal government or presidential candidates. As mentioned previously, cities are intent on reducing carbon emissions. But there are also increases in minimum wage, and more talks about public banks being created with the intent of more democratic community investment and divestment from Wall Street and the fossil-fuel industry.
********
# 1
Theoretical powder X-ray diffraction pattern of YVSe2O8 for Cu Kα (weighted mean of Kα1 and Kα2), from a cell relaxed with GGA+U.
No peak broadening, texture or thermal motion is included.

Atomic structure:
Unit cell a=10.744 b=5.479 c=5.479 alpha=84.51 beta=90.00 gamma=90.00
Atoms (fractional coordinates):
Y 0.000 0.000 0.000
Y 0.000 0.500 0.500
V 0.500 0.014 0.014
V 0.500 0.514 0.514
Se 0.201 0.563 0.063
Se 0.275 0.106 0.606
Se 0.725 0.606 0.106
Se 0.799 0.063 0.563
O 0.111 0.314 0.175
O 0.111 0.675 0.814
O 0.123 0.176 0.676
O 0.135 0.763 0.263
O 0.324 0.034 0.910
O 0.324 0.410 0.534
O 0.465 0.729 0.229
O 0.500 0.217 0.217
O 0.500 0.717 0.717
O 0.535 0.229 0.729
O 0.676 0.534 0.410
O 0.676 0.910 0.034
O 0.865 0.263 0.763
O 0.877 0.676 0.176
O 0.889 0.175 0.314
O 0.889 0.814 0.675

Largest 10 diffraction maxima, low angle first, 2θ from 10° to 80°:
2θ = 21.92°, d = 4.055 Å, I = 42; 2θ = 23.24°, d = 3.827 Å, I = 29; 2θ = 27.56°, d = 3.236 Å, I = 79; 2θ = 29.40°, d = 3.038 Å, I = 100; 2θ = 32.84°, d = 2.727 Å, I = 49; 2θ = 33.37°, d = 2.685 Å, I = 27; 2θ = 37.32°, d = 2.410 Å, I = 26; 2θ = 47.52°, d = 1.914 Å, I = 29; 2θ = 49.46°, d = 1.843 Å, I = 24; 2θ = 57.57°, d = 1.601 Å, I = 22

=====

# 2
Theoretical powder X-ray diffraction pattern of Na3Mn2P2C2O14 for Cu Kα (weighted mean of Kα1 and Kα2), from a cell relaxed with GGA+U.
No peak broadening, texture or thermal motion is included.

Atomic structure:
Unit cell a=8.421 b=8.425 c=9.017 alpha=90.13 beta=92.15 gamma=103.45
Atoms (fractional coordinates):
Na 0.125 0.128 0.236
Na 0.348 0.385 0.755
Na 0.371 0.884 0.241
Na 0.629 0.116 0.759
Na 0.652 0.615 0.245
Na 0.875 0.872 0.764
Mn 0.229 0.484 0.351
Mn 0.269 0.011 0.656
Mn 0.731 0.989 0.344
Mn 0.771 0.516 0.649
P 0.021 0.762 0.426
P 0.494 0.729 0.570
P 0.506 0.271 0.430
P 0.979 0.238 0.574
C 0.242 0.991 0.924
C 0.262 0.511 0.082
C 0.738 0.489 0.918
C 0.758 0.009 0.076
O 0.055 0.311 0.429
O 0.095 0.640 0.337
O 0.103 0.183 0.678
O 0.145 0.893 0.828
O 0.147 0.402 0.147
O 0.164 0.914 0.468
O 0.229 0.986 0.061
O 0.282 0.524 0.948
O 0.347 0.580 0.534
O 0.357 0.098 0.857
O 0.357 0.606 0.186
O 0.373 0.332 0.335
O 0.438 0.201 0.580
O 0.444 0.859 0.665
O 0.556 0.141 0.335
O 0.562 0.799 0.420
O 0.627 0.668 0.665
O 0.643 0.394 0.814
O 0.643 0.902 0.143
O 0.653 0.420 0.466
O 0.718 0.476 0.052
O 0.771 0.014 0.939
O 0.836 0.086 0.532
O 0.853 0.598 0.853
O 0.855 0.107 0.172
O 0.897 0.817 0.322
O 0.905 0.360 0.663
O 0.945 0.689 0.571

Largest 10 diffraction maxima, low angle first, 2θ from 10° to 80°:
2θ = 16.45°, d = 5.388 Å, I = 53; 2θ = 16.81°, d = 5.274 Å, I = 55; 2θ = 19.94°, d = 4.452 Å, I = 42; 2θ = 21.71°, d = 4.094 Å, I = 48; 2θ = 25.71°, d = 3.465 Å, I = 82; 2θ = 26.97°, d = 3.305 Å, I = 100; 2θ = 33.26°, d = 2.694 Å, I = 38; 2θ = 33.59°, d = 2.668 Å, I = 39; 2θ = 33.98°, d = 2.638 Å, I = 63; 2θ = 34.39°, d = 2.607 Å, I = 58

=====

# 3
********
Here the entry continues =
Lastly, more cities are promoting worker cooperatives, businesses in which employees could exercise more control over decision-making. So, Democrats are in a propitious position to build coalitions around these innovative local policies, while also seeking to expand federal programs that can help cities leverage their unique positions to build strong, green economies.